Well what you get are very ignorant, prejuidice and hateful statemets about the Mormon church from very ignorant people.
For example:
Kait: an evangelical Protestant
He makes fun of Mormons doing good works for their family, church and ancestors. He uses his interpretation of the bible to say Joseph Smith was against GOD. He quotes from books of various Mormon authors. Those authors are responsible for the books and there aren't Mormon Doctrine.
His reference an antiMormon book.
The Watcher a Catholic says the Mormon church was founded by a 13 year old kid. No he was 24 when the church was founded. He says Mormons believe that they are trillions of Planets like this earth by countless gods.
(can you name one?)
He says Eloheim was created by a god and his million
wives? He also Eloheim became God by his Father
No source for this and this isn't Mormon doctrine.
We all are intelligences and we aren't created by any one.
We are eternal.
As for his ascertion that God The Father had many wives...well that is a fallacy since their is only one Heavenly Mother. No they didn't have countless sex to produce billions of sprit children. (again no source)
We are children of our Heavenly Father.
Notice he puts Satan in front of Jesus as first born..
He is wrong again.
Satan's plan wasn't to force people to become Gods.
It was to take away our free will.
There wasn't a vote to pick Jesus as savior of mankind.
The Father chose.
As for blacks being neutral in heaven, no one was neutral in heaven. This isn't why blacks are born black.
(again no source for this)
The book of Mormon has nothing to do with the creation or foundation of this world.
No Adam is the Archangel Michael and not God the Father.
(no source again for this mistake)
Next to the article, the page also holds materials data
____________
DFT (PBE-GGA) results for a relaxed structure of HgBiMo2Pd.

The space group is P4/mmm (No. 123) and the conventional cell measures 5.030, 5.030 and 5.144 Å, with angles of 90.00, 90.00 and 90.00 degrees. The inequivalent atoms are Hg at (0.000, 0.000, 0.000), Bi at (0.500, 0.500, 0.000), Mo at (0.000, 0.500, 0.500) and Pd at (0.500, 0.500, 0.500).

The energy relative to the elements comes out at 7.706 eV/f.u. The volume comes out at 130 Å³ per cell. For the total DFT energy (no corrections), the calculation gives -23.3 eV for the cell shown. The theoretical density is 9033 kg/m3.

---

DFT (PBE-GGA) results for a relaxed structure of HgBi2MoS.

The space group is P4/mmm (No. 123) and the conventional cell measures 5.322, 5.322 and 5.347 Å, with angles of 90.00, 90.00 and 90.00 degrees. The inequivalent atoms are Hg at (0.000, 0.000, 0.000), Bi at (0.000, 0.500, 0.500), Mo at (0.000, 0.000, 0.500) and S at (0.500, 0.500, 0.000).

Its uncorrected formation energy is 3.6 eV/f.u. The volume comes out at 151 Å³ per cell. For the total DFT energy (no corrections), the calculation gives -19.5 eV for the cell shown. The theoretical density is 8185 kg/m3.

=====

(1)
## BePdW (PBE-GGA)

Data for BePdW after structural relaxation.

The energy of formation from the pure elements is -0.5 eV/f.u.

The space group is Pm (No. 6) and the conventional cell measures 3.029, 3.493 and 7.534 Å, with angles of 90.00, 99.70 and 90.00 degrees. The asymmetric unit holds Be at (0.000, 0.000, 0.000), Be at (0.064, 0.500, 0.166), Pd at (0.464, 0.500, 0.925), Pd at (0.859, 0.000, 0.691), W at (0.290, 0.500, 0.499) and W at (0.609, 0.000, 0.286).



(2)
## Na2LaInSb (PBE-GGA)

Data for Na2LaInSb after structural relaxation.

For the formation energy from raw total energies, the calculation gives 2.54 eV per formula unit.

The space group is P4/mmm (No. 123) and the conventional cell measures 6.565, 6.565 and 5.972 Å, with angles of 90.00, 90.00 and 90.00 degrees. The asymmetric unit holds Na at (0.000, 0.500, 0.000), La at (0.000, 0.000, 0.000), In at (0.500, 0.500, 0.500) and Sb at (0.000, 0.000, 0.500).



(3)
## Dy2HfTh (PBE-GGA)

Data for Dy2HfTh after structural relaxation.

The energy of formation from the pure elements is 0.6 eV/f.u.

The space group is R3m (No. 160, hexagonal axes) and the conventional cell measures 3.4218, 3.4218 and 34.2975 Å, with angles of 90.00, 90.00 and 120.00 degrees. The asymmetric unit holds Dy at (0.0000, 0.0000, 0.0000), Dy at (0.0000, 0.0000, 0.1799), Hf at (0.0000, 0.0000, 0.5901) and Th at (0.0000, 0.0000, 0.4243).



| no. | spin magnetization (μB/atom) |
| --- | --- |
| 1 | 0.000 |
| 2 | 0.000 |
| 3 | 0.000 |

=====

Crystalline TbTl2 at its relaxed geometry, computed with PBE.

abc: 6.2050 6.2050 6.2050
angles: 60.00 60.00 60.00
Positions (direct):
Tb1 0.1250 0.1250 0.1250
Tb2 0.8750 0.8750 0.8750
Tl1 0.0000 0.5000 0.5000
Tl2 0.5000 0.0000 0.5000
Tl3 0.5000 0.5000 0.0000
Tl4 0.5000 0.5000 0.5000

Properties
____________
It would seem obsurd for Adam to pray to himself...
There is no star base......Kolob is somewhere in the comsos.
Orson Hyde wrote from his own opinion of Jesus being married to three women and that isn't Mormon Doctrine.
No Joseph Smith isn't a physical descendant of Jesus Christ.
( again no source for this ignorant statement.)
As for Native Americans, Mormons believe they was a trible of peoples from palestine who migrated to the Americas.
There remnant has since assimilated into neighboring tribes of Native Americans. Not all Native Americans are from Book of Mormon.
Joseph Smith wasn't known for his tall tales....
(again no source for this statement)
Joseph Smith's visions weren't from the spirit world but from God the Father and Jesus Christ, The Angel Moroni, Peter, James and John, John the Baptist, Moses, and Elijah.
No Jesus Christ is our Judge and not Joseph Smith
(again no source for this malicious statement)
Again Joseph Smith didn't do more than Jesus,
he was directed by Jesus. Joseph Smith died because ignorance, prejuidice and hate like some posters in this post.
Alcoholic drunks driving have killed a lot of people.
Strong drinks aren't good for the belly.
You are probably a lush mr. Watcher and that's why you need your wine.
Richard of Fort Bent
Mormons don't believe God the Father had sex with Mary to concieve Jesus. ( no source for this statement?)
2007-07-22 10:17:54
Records of crystals, kept here for reference.
/*
# RbMoRuO6 | Alexandria via LeMat-Bulk | PBE with a Hubbard U | relaxed
data_RbMoRuO6
_space_group_name_H-M_alt 'P 1'
_space_group_IT_number 1
_space_group_name_Hall 'P 1'
_cell_length_a 5.2926
_cell_length_b 5.2926
_cell_length_c 6.3327
_cell_angle_alpha 90.00
_cell_angle_beta 90.00
_cell_angle_gamma 120.00
loop_
_atom_site_label
_atom_site_fract_x
_atom_site_fract_y
_atom_site_fract_z
_atom_site_occupancy
Rb1 0.0000 0.0000 0.0000 1
Mo1 0.3333 0.6667 0.5176 1
Ru1 0.6667 0.3333 0.4697 1
O1 0.0021 0.3830 0.6616 1
O2 0.0057 0.6059 0.3156 1
O3 0.3808 0.9979 0.6616 1
O4 0.3941 0.3998 0.3156 1
O5 0.6002 0.9943 0.3156 1
O6 0.6170 0.6192 0.6616 1
# E ... -6.574 eV/atom
# Density of states at the Fermi level ... 0.16 states/eV/cell

~~~~~

# 1
The following is a DFT calculation (GGA-PBE) of an optimized crystal structure of ZrBe2Pt.

Values from the calculation:
ΔH_f (0 K), eV/f.u.: -1.036
Final energy, eV per atom: -5.77
Calculated volume, Å³ per atom: 14.229
DOS(E_F), states/eV per cell: 2.40
Crystal system: tetragonal
E above lowest polymorph, eV/atom: 0.340

POSCAR file:
```
ZrBe2Pt
1.0
3.8929 0.0000 0.0000
0.0000 3.8929 0.0000
0.0000 0.0000 3.7556
Zr Be Pt
1 2 1
Direct
0.0000 0.0000 0.0000
0.0000 0.5000 0.5000
0.5000 0.0000 0.5000
0.5000 0.5000 0.0000
```



# 2
The following is a DFT calculation (GGA-PBE) of an optimized crystal structure of BS2ICl.

Values from the calculation:
Final energy, eV per atom: -2.16
Calculated volume, Å³ per atom: 28.430
Raw formation energy, eV per atom: 1.51
DOS(E_F), states/eV per cell: 2.81
Crystal system: tetragonal
E above lowest polymorph, eV/atom: 0.756

POSCAR file:
```
BS2ICl
1.0
5.1366 0.0000 0.0000
0.0000 5.1366 0.0000
0.0000 0.0000 5.3878
B S I Cl
1 2 1 1
Direct
0.0000 0.0000 0.0000
0.0000 0.5000 0.5000
0.5000 0.0000 0.5000
0.5000 0.5000 0.5000
0.5000 0.5000 0.0000
```



# 3
The following is a DFT calculation (GGA-PBE) of an optimized crystal structure of Ca2SiNi6C.

Values from the calculation:
Final energy, eV per atom: -5.65
Calculated volume, Å³ per atom: 13.899
Raw formation energy, eV per atom: -0.31
DOS(E_F), states/eV per cell: 4.15
Crystal system: trigonal

POSCAR file:
```
Ca2SiNi6C
1.0
2.6696 1.5413 5.6296
-2.6696 1.5413 5.6296
0.0000 -3.0826 5.6296
Ca Si Ni C
2 1 6 1
Direct
0.2163 0.2163 0.2163
0.7837 0.7837 0.7837
0.5000 0.5000 0.5000
0.2345 0.2345 0.7008
0.2345 0.7008 0.2345
0.2992 0.7655 0.7655
0.7008 0.2345 0.2345
0.7655 0.2992 0.7655
0.7655 0.7655 0.2992
0.0000 0.0000 0.0000
```



# 4
The following is a DFT calculation (GGA-PBE) of an optimized crystal structure of AcBeAlO4.

Values from the calculation:
Final energy, eV per atom: -7.56
Calculated volume, Å³ per atom: 13.656
Raw formation energy, eV per atom: -3.07
DOS(E_F), states/eV per cell: 0.00
Crystal system: tetragonal

POSCAR file:
```
AcBeAlO4
1.0
-2.5906 2.5906 3.5609
2.5906 -2.5906 3.5609
2.5906 2.5906 -3.5609
Ac Be Al O
1 1 1 4
Direct
0.0000 0.0000 0.0000
0.2500 0.7500 0.5000
0.5000 0.5000 0.0000
0.2337 0.6169 0.1253
*/
The records of crystals stop here.
answer #1
answered by Brother G 6
Wow! I never knew people were so generally ignorant to Mormon belief!
- The LDS church was not founded by a 13 year old boy. Joseph Smith was around 25 or so when the church was founded in 1830.
-Someone reffered to the "LDS Jesus" as Elohim. That is wrong. In LDS theology, Elohim is God the Father, Jehovah is Jesus.
-All this SPECULATION about LDS beliefs with respect to deification is not well founded. Techincally there exists no LDS belief on the matter. The LDS church's leaders from it's primative days have made very ambiguous statements on deification. The most clear-cut one is "As man is, God once was. As God is, man may become".
Now from that statement, I see nothing about "humans ruling over planets or anything". As you see it's mere speculation.
Now that we've cleared up some of the INCORRECT LDS doctrines, I can tell you what is actual doctrine that I disagree with: These are the 3 MAIN REASONS WHY I AM NOT LDS:
-I can not be a part of a church that has as their second article of faith: "Man will be punished for HIS OWN SIN, and NOT for Adam's transgression", yet on the same hand deny a group of people the priesthood based upon ALLEGED sin by THEIR ANCESTORS! (The ban on Blacks and the priesthood).
-I can not be a part of a church that teaches that God is omnipresent (can be everywhere at one moment) yet at the same time teaches that God has a body! (This goes against the most basic laws of physics).
-I can not be a part of a church that prides itself in keeping true to tradition and having restored the gospel of a God that doesn't change, yet changes its doctrines (and even more importantly) changes its ORDINANCES (ie. the Endowment). You can only have it one way. Either God doesn't change, and changing God's gospel is what caused other Christian churches to apostisize, OR God does change, his ordinances do as well, and so there was NEVER need for a restoration. The LDS church has changed the endowment to a form that would probably not be recognizable to Joseph Smith Jr. if he were to resurrect today. Why does the LDS church see no problem with condemning the Catholic church for going from total immersion baptism, to the sprinkling of water, when the LDS church has done the same kind of "dilution" with their Endowment? For all you 4th generation Mormons, ask your grandparents how many body parts were "anointed" when they underwent their Endowment and compare it to your Endowment where only your forehead was anointed.
This is why after serving a 2 year mission I decided that the LDS church is NOT true.
2007-07-23 03:21:29
answer #2
answered by Anonymous
I was, at one time, baptised into the LDS Church. Why? Well, I had looked for a religion, some spirituality that matched with what I felt was 'right'. I was raised a Catholic, and didn't agree with much that the Roman Catholics had to say, and I felt as if they, the Catholics, had corrupted what it is that Christ had tried to put together. I looked at many 'religions', and I found it amusing that it was the Mormons, of all faiths, that actually had what seemed to be the truth. Imagine that! I even believe that Joseph Smith was visited and shown the Plates...
BUT...the Mormons are worse at subjugating and oppressing the women of their church than any others, except perhaps the middle eastern 'religions'. I believe in fairness, in all things, and since the Mormons are supposedly a 'pro-family' church, then why put the women second?
Secondly, I had prayed fervently over a personal matter, while I was still a member of the LDS church, and actually received a holy visitation from Mary, the Mother of God! My prayer, and question, was answered! It was awesome! Then came another visitation, from Her Holy Son, which answered the same question and laid my fears and doubts about the matter to rest. In my naivety I thought the elders and Bishopric of my particular church/ward would be happy that I had received such a blessing. Man, was I ever wrong! I was told that it was really Satan, that no one but the church President can get visitations, etc. It was heresy to even think that Mary or Jesus would waste thier time on me.
Right. Bye-bye LDS, hello old pagan rules, the same rules Christ used before Bibles and Political churches...one with the world around you, love your neighbor, believe in the balance in all things.
Works for me, anyway.
And no offense taken!
Peace to you!
BTW...God doesn't care if you like coffee...the prohibition is church based, not heavenly ordered.
Thought you'd like to know...
2007-07-22 16:32:40
answer #3
answered by The Mystic One 4
Quite frankly, I didn't know much about Mormon beliefs, so the answers here are quite an eye-opener.
A lot of us form our opinions of a religion based an the behavior of people from that religion whom we meet.
Personally, I judge a religion as good if it causes people to behave better towards other human beings. That has not been my experience with the Mormons I've encountered.
Maybe it's not fair to judge a whole religion that way, but that's the way it is.
2007-07-22 18:01:10
answer #4
answered by Pascha 7
For one,the Mormon church doesn't teach the word of God .This is just another cult religion with man made doctrines similar to the Catholic
church.Jahovah Witnesses These false teachings stand out like a
sore thumb to the real bible believing Christian.
Real Christians don't hate or dislike Mormans,Jahovahs or Catholics,but real Christians hate false doctrine because the bible(God) says you can
believe a lie and be damned.2 Theessalonians
11,12. People can be religious and still be headed for hell.In John chapter three,Nicodemus was a religious man,but he was lost and on his way to hell.How do I know,Jesus said so in John 3:7.We Baptists
want you to be saved and on you way to heaven.
God hates false doctrine!
2007-07-22 17:01:57
answer #5
answered by Anonymous
Ex-mormon, now christian, I disagree with the concept of becoming a God, I believe it is idol worship and very selfish. Sounds liek Darwinism to me. Evolving into something. Polygamy, even tho they do not practise it, they still believe it will be restored, I saw the side effects of it, like the sexism that goes along with it. The silly rituals in the temple. I couldn't hack it, it was too silly for me. I was not happy as a Mormon, or a wiccan or an atheist, I got saved and finally wanted to live instead of wanting to end my life.
2007-07-22 22:45:13
answer #6
answered by Anonymous
1. I am suspect about a religion based on a revelation to a single man in the mid-1800's.
2. I also cannot accept the Mormon concept of Jesus as a non-divine man, the result of God by taking human form to have physical sex with Mary. Plus the idea of Jesus at something seperate and less than God is heresy.
3. The idea that we become 'min'-gods' in heaven is also "throwed off."
I could go on.
2007-07-22 16:22:13
answer #7
answered by Richard of Fort Bend 5
I belong to the Christian church. Really, that's what it's called.
Mormons claim Adam the first man is our God. They believe when they die they will also become a God of another planet (really!). The bible says there is one God.
Mormons say you can be baptized for loved ones they never accepted Christ or was baptized. The bible says there is one baptism and one must believe then repent Acts 2:38.
There's a lot more. Most Christian faith say Mormonism is a cult-they leader is not Christ but Joseph smith.
=====
Record 1
VASP calculation (GGA-PBE) on TlTc2Se after structural relaxation.

Crystal system = orthorhombic
Formation energy from raw total energies = 0.55 eV per atom
ΔE to the lowest computed polymorph = 33.08 kJ per mole of atoms

Cell lengths 3.195, 4.081, 10.974 Å; angles 90.00, 90.00, 90.00 degrees
Space group Imm2 (No. 44)
Symmetry-distinct sites (fractional):
Tl  0.000  0.000  0.000 x2
Tc  0.000  0.000  0.417 x2
Tc  0.000  0.500  0.196 x2
Se  0.000  0.500  0.747 x2


Record 2
VASP calculation (GGA-PBE) on SnPH6CBr3 after structural relaxation.

Crystal system = triclinic
ΔE to the lowest computed polymorph = 0.26 kJ per mole of atoms

Cell lengths 6.152, 8.714, 8.878 Å; angles 89.20, 89.64, 89.13 degrees
Space group P1 (No. 1)
Symmetry-distinct sites (fractional):
Sn  0.000  0.000  0.000 x1
Sn  0.008  0.506  0.495 x1
P  0.482  0.411  0.970 x1
P  0.488  0.007  0.586 x1
H  0.292  0.370  0.051 x1
H  0.296  0.088  0.627 x1
H  0.356  0.908  0.355 x1
H  0.363  0.661  0.894 x1
H  0.471  0.348  0.825 x1
H  0.492  0.867  0.666 x1
H  0.494  0.086  0.328 x1
H  0.513  0.664  0.067 x1
H  0.649  0.913  0.359 x1
H  0.655  0.642  0.891 x1
H  0.663  0.345  0.046 x1
H  0.666  0.095  0.633 x1
C  0.498  0.975  0.387 x1
C  0.506  0.615  0.954 x1
Br  0.000  0.757  0.683 x1
Br  0.011  0.758  0.199 x1
Br  0.451  0.472  0.491 x1
Br  0.453  0.027  0.972 x1
Br  0.974  0.289  0.730 x1
Br  0.980  0.225  0.214 x1


Record 3
VASP calculation (GGA-PBE) on RbTlAu2 after structural relaxation.

E_form = -12.9 kJ/mol of atoms
Crystal system = trigonal
ΔE to the lowest computed polymorph = 5.87 kJ per mole of atoms

Cell lengths 4.9809, 4.9809, 18.0928 Å; angles 90.00, 90.00, 120.00 degrees
Space group R-3m (No. 166, hexagonal axes)
Symmetry-distinct sites (fractional):
Rb  0.0000  0.0000  0.0000 x3
Tl  0.0000  0.0000  0.5000 x3
Au  0.0000  0.0000  0.1980 x6


Record 4
VASP calculation (GGA-PBE) on NaTl12Te7 after structural relaxation.

Crystal system = trigonal
Formation energy from raw total energies = -0.27 eV per atom

Cell lengths 14.6517, 14.6517, 12.4971 Å; angles 90.00, 90.00, 120.00 degrees
Space group R-3 (No. 148, hexagonal axes)
Symmetry-distinct sites (fractional):
Na  0.0000  0.0000  0.0000 x3
Tl  0.0165  0.1811  0.6558 x18
Tl  0.0317  0.2504  0.9215 x18
Te  0.0000  0.0000  0.5000 x3
Te  0.0287  0.1974  0.1757 x18


Record 5
VASP calculation (GGA-PBE) on CrSbS2 after structural relaxation.

Crystal system = monoclinic
Formation energy from raw total energies = -0.32 eV per atom

Cell lengths 13.409, 3.228, 8.376 Å; angles 90.00, 99.12, 90.00 degrees
Space group Cm (No. 8)
Symmetry-distinct sites (fractional):
Cr  0.000  0.000  0.000 x2
Cr  0.054  0.500  0.234 x2
Sb  0.213  0.000  0.382 x2
Sb  0.452  0.500  0.682 x2
S  0.101  0.500  0.518 x2
S  0.118  0.500  0.000 x2
S  0.371  0.000  0.876 x2
S  0.436  0.500  0.233 x2


Record 6
VASP calculation (GGA-PBE) on Ac6PdRh2 after structural relaxation.

E_form = -51.8 kJ/mol of atoms
Crystal system = trigonal
=====
This from You tube is VERY interesting: http://www.youtube.com/watch?v=G1mFdO1wB08
2007-07-22 16:25:19
answer #8
answered by Jeanmarie 7
I am an evangelical Christian. Below is a short summation of the Mormon teachings that the Bible believing Christians do not believe in.
Mormons believe that the Book of Mormon contains the "fullness of the gospel." The Book of Mormon says so itself in its introduction (see also Doctrines and Covenants 20:9; 27:5; 42:12; and 135:3). So what is the gospel according to Mormonism? It's a tough question for many LDS to answer. According to Mormon apostle Bruce McConkie, author of the book Mormon Doctrine, the gospel is "the plan of salvation [that] embraces all of the laws, principles, doctrines, rites, ordinances, acts, powers, authorities, and keys necessary to save and exalt men." In other words, the whole of Mormon theology. In the Mormon gospel we see belief + repentance + baptism + laying on of hands + temple work + mission work + church ministry + tithing + ceasing from sin + abstaining from the use of intoxicants and strong drinks and tobacco and caffeine + confessing Joseph Smith as Prophet + temple marriage + baptism for the dead + genealogy research . . . the list could go on and on and on. Only upon completion of all these things may Mormons attain to the third and highest level of heaven thus achieving the ultimate goal of the Mormon gospel - godhood. (see McConkie, Mormon Doctrine 116-117; Book of Mormon [3 Nephi 27:13-21]; Doctrines of Salvation 1:268; 18:213; The 4th Article of Faith; Smith, Gospel Doctrine pg. 107; Brigham Young, Journal of Discourses 3:93; 3:247; 9:312; Gospel Principles 290; Doctrine and Covenants 39:5-6; 132:19-20). In essence, Christ's death means nothing more to a Mormon than the gaining of the ability to be resurrected so that their works may be judged.
While we cannot judge another person's motives we can and must judge what a person does or says. Joseph Smith, and hence the Book of Mormon, fails the twin tests of Deuteronomy 13 and 18. God takes false prophets very seriously. Deuteronomy 13:1-3 says, "That prophet or dreamer must be put to death, because he preached rebellion against the LORD your God...; he has tried to turn you from the way the LORD your God commanded you to follow. You must purge the evil from among you." Deuteronomy 18:19-21 says, "If anyone does not listen to my words that the prophet speaks in my name, I myself will call him to account. But a prophet who presumes to speak in my name anything I have not commanded him to say, or a prophet who speaks in the name of other gods, must be put to death..." And Galatians 1:8-9 says, "But even if we or an angel from heaven should preach a gospel other than the one we preached to you, let him be eternally condemned! As we have already said, so now I say again: If anybody is preaching to you a gospel other than what you accepted, let him be eternally condemned!"
The gospel is God's power to bring us to Him. He will not stand for those who would pervert it. He has given us the ability and the responsibility to discern whether or not this is happening. We must carefully investigate the claims of the LDS if we are to follow what God has commanded. In fact we are invited to judge by Mormons themselves: "Convince us of our errors of doctrine, if we have any." LDS Apostle Orson Pratt, The Seer, p.15
Recommended Resource: Reasoning from the Scriptures with Mormons by Ron Rhodes.
2007-07-22 16:21:28
answer #9
answered by Freedom 7
To learn about the Church of Jesus Christ of Latter Day Saints, or what some people call "Mormons," you should ask a member or search on the church website. http://www.lds.org
2007-07-22 16:23:24
answer #10
answered by moonsky 3